**Activity**
Please say how many lines of the entries below hold the word "Ag", as a bare number.

**File**
Entry 1:
Computed, not measured: crystalline Li5Ag2SnHg2 at its relaxed geometry at the PBE level of DFT.

The structure belongs to space group P4/mbm (No. 127); the cell edges are 10.459, 10.459 and 3.489 Å and the angles 90.00°, 90.00° and 90.00°. The asymmetric unit holds Li at (0.000, 0.500, 0.000), Li at (0.009, 0.210, 0.000), Ag at (0.152, 0.348, 0.500), Sn at (0.000, 0.000, 0.500) and Hg at (0.156, 0.656, 0.500).

As for the energy of formation from the pure elements: -0.1835 eV/atom.

Entry 2:
Computed, not measured: crystalline CuGeS2 at its relaxed geometry at the PBE level of DFT.

The structure belongs to space group R3m (No. 160, hexagonal axes); the cell edges are 3.5328, 3.5328 and 18.7232 Å and the angles 90.00°, 90.00° and 120.00°. The asymmetric unit holds Cu at (0.0000, 0.0000, 0.0000), Ge at (0.0000, 0.0000, 0.8310), S at (0.0000, 0.0000, 0.4033) and S at (0.0000, 0.0000, 0.5874).

Its electronic total energy is -4.297 eV per atom.

Entry 3:
Computed, not measured: crystalline BeRe2Mo at its relaxed geometry at the PBE level of DFT.

The structure belongs to space group Pmm2 (No. 25); the cell edges are 2.747, 3.956 and 5.173 Å and the angles 90.00°, 90.00° and 90.00°. The asymmetric unit holds Be at (0.000, 0.000, 0.000), Re at (0.000, 0.000, 0.509), Re at (0.500, 0.500, 0.759) and Mo at (0.500, 0.500, 0.238).

As for the energy of formation from the pure elements: 0.1260 eV/atom.

| no. | size of the total moment (μB/atom) |
| --- | --- |
| 1 | 0.000 |
| 2 | 0.000 |
| 3 | 0.000 |

* * * * *

# PBE with a Hubbard U Cs2PaV3O12, optimized geometry
data_Cs2PaV3O12
_chemical_formula_sum 'Cs6 Pa3 V9 O36'
_cell_length_a 7.1896
_cell_length_b 7.1896
_cell_length_c 18.8629
_cell_angle_alpha 90.00
_cell_angle_beta 90.00
_cell_angle_gamma 120.00
_symmetry_space_group_name_H-M 'R -3 m'
_symmetry_Int_Tables_number 166
_symmetry_space_group_name_Hall '-R 3 2"'
loop_
_atom_site_label
_atom_site_type_symbol
_atom_site_fract_x
_atom_site_fract_y
_atom_site_fract_z
Cs1 Cs 0.0000 0.0000 0.1130
Pa1 Pa 0.0000 0.0000 0.5000
V1 V 0.0000 0.5000 0.0000
O1 O 0.0561 0.5281 0.0992
O2 O 0.0886 0.5443 0.3453
# Fermi-level density of states (states/eV per cell): 36.5
# Magnetization (μB per formula unit): 0.0
# DFT total energy (eV/atom): -7.176

**Response**
1